Working With Strings

An introduction to working with strings.

SQL has several built-in functions for manipulating string data in fields. Some of the more common ones are CONCAT, LEFT, LOWER, UPPER, SUBSTRING, STRING_SPLIT, and LENGTH.

For a full list of string functions see the reference section.


CONCAT takes two or more string values and combines them into one value. These values can be defined in the query or selected from the table. In the following example the query concatenates manager name, a separating space (the value specified in the query) and the sales person name:

SELECT CONCAT(manager, ", ", sales_agent)
  FROM sales_teams

The resulting table looks like this:

Dustin Brinkmann, Anna Snelling
Dustin Brinkmann, Cecily Lampkin
Melvin Marxen, Mei-Mei Johns
Cara Losch, Violet Mclelland
Cara Losch, Corliss Cosme
Cara Losch, Rosie Papadopoulos
Cara Losch, Garret Kinder
Cara Losch, Wilburn Farren
Cara Losch, Elizabeth Anderson
Rocco Neubert, Daniell Hammack
Rocco Neubert, Cassey Cress

As a convenience, SQL also supports combining strings using the concatenation operator ||. Using the concatenation operator, the previous query could be written like this:

SELECT manager || ", " || sales_agent
  FROM sales_teams

-- These calculated molecules were left in the entry by mistake --
~~~
10
Properties=species:S:1:pos:R:3:forces:R:3 method="wB97M-V/def2-TZVPD" e_above_lowest_kcal_mol=89.0 lumo_energy_ev=0.29 homo_energy_ev=-8.7 orbital_gap_ev=9.0
N 1.50113 -1.10444 -0.19303 -6.02 -0.93 0.14
N 1.74254 0.21712 0.07948 1.35 -1.98 1.71
C 0.82073 1.05864 0.17246 1.41 2.75 0.52
N -0.49420 0.89859 -0.26545 -2.96 1.03 -1.41
S -1.53036 -0.42907 0.01490 -1.87 1.62 2.17
H 2.09144 -1.72471 0.23527 3.04 -0.90 0.95
H 0.53858 -1.56942 0.34777 2.75 2.32 -2.26
H 1.35429 2.02149 0.68093 -2.37 -1.55 -1.70
H -0.99342 1.56231 -0.97219 2.09 -1.29 1.99
H -2.67566 0.14465 1.08796 2.58 -1.08 -2.10



9
Properties=species:S:1:pos:R:3:forces:R:3 method="wB97M-V/def2-TZVPD" e_above_lowest_kcal_mol=59.5 lumo_energy_ev=0.19 homo_energy_ev=-8.9 orbital_gap_ev=9.1
C -0.80813 0.93593 0.12450 1.67 0.46 0.95
Si 0.50733 -0.50448 0.46143 -1.78 -0.35 -2.97
S 2.46034 0.18649 -0.03866 -0.65 1.76 -0.11
H -0.75904 1.85866 0.76330 0.95 -0.55 -0.64
H -0.90809 1.24095 -0.93935 0.02 -0.61 0.78
H -1.67700 0.56066 0.57795 -1.77 -0.99 -0.23
H -0.41171 -2.20375 -0.86286 1.30 2.18 1.60
H 0.69160 -1.24550 1.67992 -0.43 -0.12 0.74
H 1.98361 1.53697 -0.03258 0.69 -1.79 -0.12
~~~


The LEFT string function returns the specified number of leftmost characters from a value. If we wanted to use a one-letter identifier for each of the regional offices for the sales agents we could run a query like this:

SELECT sales_agent,
       LEFT(regional_office, 1)
  FROM sales_teams

and we would get back:

sales_agent left
Anna Snelling C
Cecily Lampkin C
Mei-Mei Johns C
Violet Mclelland E
Corliss Cosme E
Rosie Papadopoulos E
Garret Kinder E
Wilburn Farren E
Elizabeth Anderson E
Daniell Hammack E
Cassey Cress E
Donn Cantrell E
Versie Hillebrand C


LOWER is a useful string function for cleaning up the presentation of data as it transforms all characters in a value to lower case. For example we could change all the product names to lower case in the following query:

  FROM products
gtx basic
gtx pro
mg special
mg advanced
gtx plus pro
gtx plus basic
gtk 500
mg mono


Similar to LOWER, UPPER returns all the characters in a string as upper case. If we needed a list of the employees in all upper case we could run the query:

SELECT UPPER(sales_agent)
  FROM sales_teams


SUBSTRING is a function that is used to return a portion of a string based on it’s placement in the string. For example if we were looking at data only for the GTX product line and we wanted to remove the GTX prefix from our query results we could use the following query:

  FROM products
 WHERE product LIKE "GTX%"

and the results returned would look like this:

substring sales_price
Basic 550
Pro 4,821
Plus Pro 5,482
Plus Basic 1,096

The SUBSTRINGfunction requires two arguments and can take a third. The first argument is the string to be found and it can be stated either as a string or as a column. The second argument is the placement in the string of the first character to be returned. The third (optional) argument is the number of characters to be returned. If the third argument is omitted, the query returns all of the string from the first returned character to the end of the string.


The LENGTH function returns the number of characters in a string. It may seem like an odd thing to want to know, but it is useful when you want to remove characters from the beginning of a string leaving a specified number of characters from the end. Our dataset doesn’t have a particularly good string where this operation would make sense, but as an example we could run a query to return only the last five letters of each sales agent name and it would look like this:

SELECT sales_agent,
       SUBSTRING(sales_agent, LENGTH(sales_agent) -5)
  FROM sales_teams
sales_agent substring
Anna Snelling elling
Cecily Lampkin ampkin
Mei-Mei Johns Johns
Violet Mclelland elland
Corliss Cosme Cosme
Rosie Papadopoulos poulos
Garret Kinder Kinder
Wilburn Farren Farren
Elizabeth Anderson derson
Daniell Hammack ammack
Cassey Cress Cress
Donn Cantrell ntrell


STRING_SPLIT is a function that is used to split a string into multiple strings, based on some delimiter. Unlike other functions, STRING_SPLIT returns multiple rows for each string input. For example, if you were looking to get the first and last names of your sales agents in a single column, you could split their names using the space character as a delimiter :

SELECT sales_agent,
       STRING_SPLIT(sales_agent, " ")
  FROM sales_teams
sales_agent substring
Anna Snelling Anna
Anna Snelling Snelling
Cecily Lampkin Cecily
Cecily Lampkin Lampkin
Mei-Mei Johns Mei-Mei
Mei-Mei Johns Johns

The STRING_SPLIT function requires two arguments. The first argument is the string to be split and it can be stated either as a string or as a column. The second argument is the delimiter character used to split the string.